Two Womenstrong Members Recognized By Stop Hunger For Their Work With Women And Girls In Ghana And Kenya
The outstanding leaders of WomenStrong International member organizations in Ghana and Kenya have been honored with grants that recognize their efforts awarded by Stop Hunger, a global network of non-profit organizations working in 80 countries for a hunger-free world.
The $5,000 grants to Abenaa Akuamoa-Boateng and Beldina Omolo are for “exceptional work” and are part of Stop Hunger’s “Women Stop Hunger Awards” program that highlights the key role women play in ending starvation and hunger.
“Empowering women is a priority,” said Mathilde Loing, director of Stop Hunger Europe. “The United Nations has said that 55% of the progress in the fight against hunger over the last 25 years has resulted from improvements in the social status of women. We need to recognize and recreate the best work being done among women and girls to assure that women have the resources they need.“
Kenya is ranked among the world’s 10 poorest economies, with a poverty line of $17 USD per month and many earning far less. Alice Visionary Foundation Project (AVFP) works with the poorest of the poor, women and young girls in the slums of Manyatta in Kisumu, Kenya, as well as children in the impoverished countryside. Manyatta residents face hunger, HIV/AIDS, TB, malaria, and violence. Electricity, gas, and running water are mostly dreamed-of luxuries. There is little land on which to grow food and what there is has been intensively farmed to depletion. Malnourished girls drop out of school and produce malnourished babies. Families struggle to find healthcare, education, and, every day, enough to eat. In this environment, Opiyo works with the most vulnerable, women and children trapped on the lowest rungs of society. Her anti-hunger programs are designed to feed people today and to help them feed themselves tomorrow.
Stop Hunger’s grant recognized the success of AVFP’s urban agriculture training program for women, as well as their school garden and feeding program for kids in a peri-urban area outside Kisumu. The first program, coordinated with local agricultural extension experts, teaches impoverished women urban agriculture and vertical cultivation. The second initiative, the School Feeding Project, provides nutritious lunches daily to 629 school children ages 6 – 15, while also teaching the children to grow and raise their own vegetables.
Following the success of the school garden, AVFP has created videos demonstrating how to create gardens for low-resource environments and has begun sharing its learnings globally. Many of the women who have learned urban agriculture are experiencing food security for the first time, feeding large families of a dozen or more and producing income that can now pay for school fees and a better life. The school garden program has been adopted in similarly low-resource communities as far away as Honduras.
“It is a privilege to have these two strong, innovative, loving women as members of our WomenStrong consortium. We all believe, from first-hand experience, that equality for women translates into progress for all toward a hunger-free world,” said Dr. Susan M. Blaustein, Founder and Executive Director of WomenStrong. “Women could feed 100-150 million more people, if they had the same access as men to the means of production. Abenaa and Beldina have shown by example what women, given the right resources, can do.”
Ghana is ranked as a “middle-income” country, according to the 2014 Human Development Report, yet it remains a “food-deficit country,” and Akuamoa-Boateng’s Women’s Health to Wealth (WHW) works with some of the poorest of the poor. Of the more than 2 million people living in Ghana’s second largest city, Kumasi, more than half are living in poverty, and more than half of Kumasi’s population is female. Women and girls in urban poverty suffer unrelenting hunger, violence, and loss of dignity, all while trying to raise a family.
Over the last two years, WHW has leveraged a Social Capital Credits (SoCCs) programs to provide affordable loans to aspiring female entrepreneurs, enabling women to begin or expand their own businesses. Improved livelihood enables women to lift themselves and their families out of poverty, pay their children’s school fees, and even provide employment to others. WHW requires preventive health screenings for any woman wishing to join its economic empowerment program. In addition to offering microfinance, the program encourages women to become leaders in programs to improve sanitation, nutrition, and hygiene. WHW and the women participants also helped create Girls’ Clubs, to keep girls in school and teach them about hygiene, nutrition, reproductive health, fitness, and planning their future. All of this leads to increased earning potential which, combined with greater nutritional knowledge, mitigates the scourge of hunger.
=====
C6H14NO2P | ωB97M-V with the def2-TZVPD basis set

Atoms and positions in Å:
C (-0.58, -0.36, -2.76)
C (0.49, 0.24, -1.88)
P (-0.06, 0.18, -0.12)
C (1.47, 0.37, 0.88)
O (-0.82, -1.04, 0.21)
C (-1.04, 1.72, 0.16)
C (-1.70, 1.66, 1.53)
H (-0.78, -1.38, -2.45)
H (-1.51, 0.20, -2.68)
H (-0.27, -0.37, -3.81)
H (0.71, 1.27, -2.16)
H (1.42, -0.34, -1.95)
H (1.20, 0.34, 1.94)
H (2.12, -0.47, 0.67)
H (1.98, 1.30, 0.66)
H (-0.41, 2.60, 0.06)
H (-1.81, 1.75, -0.62)
H (-2.43, 2.45, 1.65)
H (-2.20, 0.70, 1.65)
H (-0.95, 1.75, 2.32)
C (0.67, -3.13, 1.62)
N (1.81, -3.24, 1.78)
O (2.95, -3.46, 2.02)
H (-0.25, -2.77, 1.28)

Computed properties:
**M**: 163.16 g mol⁻¹
**LUMO energy**: 0.703 eV
**SMILES**: CCP(C)(=O)CC.C#[N+][O-]
**HOMO-LUMO gap**: 0.3778 Eh
**F_max**: 1.9 eV/A
**Energy**: -21321.443 eV
**Relative energy (zero: lowest compared OMol25 entry of this formula, charge and spin)**: 1.748 eV

Mulliken atomic charge list, values in e, 6 entries: -1.20 -0.52 0.98 -1.25 -0.80 -0.49

=====

This record from the Open Molecules 2025 dataset describes a cluster of 9 separate species, C18H52ClO12 in total. The level of theory is ωB97M-V/def2-TZVPD.

Last column: Mulliken charge in e.
CARTESIAN COORDINATES (ANGSTROEM)
Cl  0.88516  -0.60618  0.74682  1.343
O  0.92641  0.75533  1.17341  -0.567
O  0.74921  -0.73939  -0.68601  -0.240
O  2.05879  -1.29792  1.24444  -0.760
O  -0.28632  -1.24393  1.31438  -0.467
C  1.04389  2.91365  -4.36400  -1.450
C  1.02861  1.44543  -3.95088  0.815
C  1.40928  0.59212  -5.16944  -1.247
O  2.07956  1.22918  -2.99683  -0.501
H  0.87414  3.58584  -3.51477  0.275
H  0.22628  3.19503  -5.03194  0.409
H  1.99667  3.22738  -4.78931  0.332
H  0.04221  1.13872  -3.60481  0.223
H  0.70857  0.82760  -5.97775  0.424
H  1.31251  -0.46904  -4.94355  0.233
H  2.43820  0.75124  -5.48524  0.264
H  1.74453  0.57340  -2.36753  0.123
C  2.81399  5.81925  0.40971  -1.184
C  1.55318  5.62528  1.25666  0.319
C  0.80336  4.27990  1.06312  -0.531
O  1.83112  5.80489  2.64806  -0.573
H  3.40410  6.56346  0.94041  0.342
H  2.58194  6.10768  -0.61243  0.326
H  3.34259  4.86478  0.35207  0.261
H  0.83815  6.39835  0.93477  0.266
H  0.30935  4.24139  0.08928  0.310
H  0.04383  4.16772  1.83161  0.027
H  1.56221  3.49797  1.09065  0.121
H  1.02548  6.18001  3.01170  0.319
C  -2.28228  -0.00875  4.58257  -1.139
C  -1.93841  1.46466  4.79893  0.389
C  -1.48610  2.14362  3.53501  -0.920
O  -3.12584  2.19076  5.25166  -0.585
H  -3.02735  -0.27907  3.83594  0.292
H  -2.60588  -0.50978  5.50322  0.420
H  -1.33733  -0.50920  4.34325  0.208
H  -1.29980  1.58904  5.67860  0.200
H  -1.02532  3.11181  3.73346  0.335
H  -2.24577  2.13698  2.75739  0.273
H  -0.63203  1.59300  3.12202  0.229
H  -3.44636  1.72464  6.03006  0.302
C  1.18755  -4.71145  -3.08640  -1.309
C  2.24534  -3.75490  -2.52073  0.653
C  2.41581  -2.43714  -3.23061  -1.185
O  1.84942  -3.50537  -1.16253  -0.517
H  1.40136  -4.91057  -4.14409  0.367
H  0.19886  -4.26707  -2.96921  0.208
=====
Here the entry continues =
WomenStrong International is a consortium of non-profit organizations in five nations supporting women-driven solutions to extreme urban poverty. WSI emerged from a decade of work at Columbia University’s Millennium Cities Initiative where we found the most successful programs were local and led by women. Through our Consortium members in Ghana, Kenya, Haiti, India, and Washington, D.C., we help thousands of women and girls meet their 6 Essential Needs for health, shelter, safety, education, economic empowerment and a functioning urban environment. These women, in turn, improve the lives of their children, families, communities and nations. WomenStrong believes the path out of poverty and toward a more just and prosperous world can be found by making women strong. For more information, visit .